Municipalities in the districts and the North collaborate to ensure competence outside the cities – news Nordland
# Here the piece breaks off for materials data
## MgCr2O4 (GGA+U)

Data for a relaxed MgCr2O4 crystal.

Output
**Symmetry**: No. 2
**Excess energy over the best structure of this formula in the dataset**: 254 meV/atom
**Magnetization**: 6.0 μB per cell
**Crystal system**: triclinic
**Volume**: 10.94 Å³ per atom
**ΔE_f**: -2.379 eV per atom

Cell lengths 3.033, 9.796, 3.026 Å; angles 90.27, 119.91, 99.04 degrees
Sites, in units of the cell vectors:
Mg 0.003 0.000 0.998
Cr 0.489 0.736 0.236
Cr 0.518 0.264 0.759
O 0.755 0.125 0.376
O 0.764 0.648 0.872
O 0.243 0.351 0.123
O 0.251 0.875 0.620

=====

## K3NaMo5Se2O23 (GGA+U)

Data for a relaxed K3NaMo5Se2O23 crystal.

Output
**Symmetry**: No. 14
**Magnetization**: 8.0 μB per cell
**Crystal system**: monoclinic
**Volume**: 16.82 Å³ per atom
**ΔE_f**: -1.496 eV per atom

Cell lengths 9.987, 24.031, 10.408 Å; angles 90.00, 113.67, 90.00 degrees
Sites, in units of the cell vectors:
K 0.591 0.617 0.972
K 0.091 0.883 0.472
K 0.409 0.383 0.028
K 0.909 0.117 0.528
K 0.066 0.576 0.212
K 0.566 0.924 0.712
K 0.934 0.424 0.788
K 0.434 0.076 0.288
K 0.928 0.742 0.017
K 0.428 0.758 0.517
K 0.072 0.258 0.983
K 0.572 0.242 0.483
Na 0.440 0.523 0.301
Na 0.940 0.977 0.801
Na 0.560 0.477 0.699
Na 0.060 0.023 0.199
Mo 0.390 0.916 0.326
Mo 0.890 0.584 0.826
Mo 0.610 0.084 0.674
Mo 0.110 0.416 0.174
Mo 0.737 0.961 0.379
Mo 0.237 0.539 0.879
Mo 0.263 0.039 0.621
Mo 0.763 0.461 0.121
Mo 0.290 0.805 0.101
Mo 0.790 0.695 0.601
Mo 0.710 0.195 0.899
Mo 0.210 0.305 0.399
Mo 0.801 0.895 0.081
Mo 0.301 0.605 0.581
Mo 0.199 0.105 0.919
Mo 0.699 0.395 0.419
Mo 0.544 0.791 0.955
Mo 0.044 0.709 0.455
Mo 0.456 0.209 0.045
Mo 0.956 0.291 0.545
Se 0.678 0.814 0.323
Se 0.178 0.686 0.823
Se 0.322 0.186 0.677
Se 0.822 0.314 0.177
Se 0.425 0.933 0.010
Se 0.925 0.567 0.510
Se 0.575 0.067 0.990
Se 0.075 0.433 0.490
O 0.363 0.881 0.464
O 0.863 0.619 0.964
O 0.637 0.119 0.536
O 0.137 0.381 0.036
O 0.283 0.977 0.298
O 0.783 0.523 0.798
O 0.717 0.023 0.702
O 0.217 0.477 0.202
O 0.700 0.031 0.331
O 0.200 0.469 0.831
O 0.300 0.969 0.669
O 0.800 0.531 0.169
O 0.889 0.966 0.539
O 0.389 0.534 0.039
O 0.111 0.034 0.461
O 0.611 0.466 0.961
O 0.130 0.798 0.950
O 0.630 0.702 0.450
O 0.870 0.202 0.050
O 0.370 0.298 0.550
O 0.254 0.759 0.215
O 0.754 0.741 0.715
O 0.746 0.241 0.785
O 0.246 0.259 0.285
O 0.861 0.942 0.983
O 0.361 0.558 0.483
O 0.139 0.058 0.017
O 0.639 0.442 0.517
O 0.955 0.855 0.169
O 0.455 0.645 0.669
O 0.045 0.145 0.831
O 0.545 0.355 0.331
O 0.424 0.790 0.778
O 0.924 0.710 0.278
O 0.576 0.210 0.222
O 0.076 0.290 0.722
O 0.645 0.730 0.979
O 0.145 0.770 0.479
O 0.355 0.270 0.021
O 0.855 0.230 0.521
O 0.578 0.944 0.979
O 0.078 0.556 0.479
O 0.422 0.056 0.021
O 0.922 0.444 0.521
O 0.683 0.845 0.930
O 0.183 0.655 0.430
O 0.317 0.155 0.070
O 0.817 0.345 0.570
O 0.501 0.831 0.306
O 0.001 0.669 0.806
O 0.499 0.169 0.694
O 0.999 0.331 0.194
O 0.428 0.761 0.055
O 0.928 0.739 0.555
O 0.572 0.239 0.945
O 0.072 0.261 0.445
O 0.585 0.945 0.448
O 0.085 0.555 0.948
O 0.415 0.055 0.552

There is a lack of expertise in both kindergartens and schools in Norway. Especially outside the big cities, it is difficult to get hold of qualified people. – We have to do something, and we have to do it now, says Hanne Gravrok. She is project manager in Lærerinord, a collaborative project between Nord University and the municipalities in the region. The aim is to inform potential students about the opportunities available. Some municipalities do a lot to secure competence. Yet few know about the possibilities. In Bø in Vesterålen, they go so far as to give a professional group their full salary while they study. Get a full salary while they study Bø municipality has been one of Norway’s most talked about municipalities in recent years. First, the place was nicknamed “Norway’s Monaco” when they cut the wealth tax. They then tempted young couples with both money and a free nursery place. In 2011, the municipality was on the way to the Robek list, but earlier this year it became known that Bø is the third best governed municipality in the country. Mayor of Bø, Sture Pedersen, has taken many measures to improve the municipality’s situation. Photo: Lars-Bjørn Martinsen / news They are doing something right, but they still lack some competence. Among other things in kindergartens: – We lack kindergarten teachers and we have to do something about that, says school and kindergarten manager in Bø municipality, Hans Pettersen. Bø has a municipal recruitment scheme for kindergarten teachers. The scheme gives students NOK 25,000 per semester if the student commits to the municipality for two years after graduation. Total: NOK 150,000 over three years. Nord University will, through the new project Lærerinord, make the educations more popular. Photo: Bente H. Johansen / news But not everyone has the opportunity to be a full-time student. Bø municipality has also thought of them. – If you work and take your studies part-time, the students can choose whether they want NOK 25,000 each semester or whether they want paid leave while they are at assemblies. Pettersen adds: – Most people choose the latter. Then they have full pay and go to meetings. Not possible without the support Jeanett Pedersen works in Straume kindergarten in Bø. At the same time, she is studying to become a kindergarten teacher. The agreement with the municipality means that it is not financially painful to go to gatherings. – With a house and family, this is very important. There are a few weeks during the year so it affects the finances if I hadn’t received a salary, she says to news. – I am very happy that this solution exists so that I can take the education. Jeanett Pedersen is studying kindergarten teacher alongside her job. The collections do not mean that she gets worse advice. Photo: Private Jeanett Pedersen says that she also has half price for kindergarten in Bø. – Would it have been possible for you to be a student without this solution? – Not since my partner is also a full-time student. Then it would have become very tight financially, Pedersen replies. She believes it is important that the municipalities in the districts make arrangements for people to get an education. – If they lack people in various professions, arrangements should be made for people to complete. I think it is very good to have a supplement like this so that the pressure is relieved a little. Did you know that some municipalities offer scholarships and wages during your studies? Beginners in Lofoten Bø municipality is just one of the municipalities that will now collaborate with Nord University. Gravrok, the project manager for Lærerinord, says they will contact all the head of education in the region. In consultation with the municipalities, they will arrange information meetings where they try to reach out to potential students. The Lærerinord project starts with information meetings in Lofoten. The picture is from Svolvær in Vågan municipality. Photo: Synnøve Sundby Fallmyr / news Already this week, information meetings will be arranged in both Vågan and Vestvågøy in Lofoten. The aim is precisely to get information out about what opportunities the municipalities can give students. Vågan municipality, for example, gives student teachers the opportunity to apply for additional grants. – They can be granted 60,000 over two years in return for committing for two years. That’s what Veslemøy Drangvåg says. She is the municipal director for education in Vågan municipality. The recruitment work has hardly become less important after the teachers’ strike ended. Photo: Sofie Retterstøl Olaisen / news – If we manage to reach five people, that’s very good. There are five people who we are likely to retain or bring back to the municipality. She thinks a collaboration with the university will be exciting – and hopes it can bear fruit. ALSO READ:
